**Assignment:**
Give back all of the material below verbatim.

**Material:**
'''
[1]
DFT (PBE) results for a relaxed structure of TbEuS2.

Lattice parameters (Å, degrees): 4.0035 4.0035 19.9174 90.00 90.00 120.00
Closest atoms and distances in Å follow each position.
Space group R-3m (No. 166, hexagonal axes)
Symmetry-distinct sites (fractional):
Tb  0.0000  0.0000  0.0000 x3  6 S 2.80
Eu  0.0000  0.0000  0.5000 x3  6 S 2.90
S  0.0000  0.0000  0.2543 x6  3 Tb 2.80, 3 Eu 2.90

total moment = 20.81 Bohr magnetons per cell
crystal system = trigonal
formation energy without anion corrections = -2091 meV per atom
E = -7.881 eV/atom

=====

[2]
DFT (PBE) results for a relaxed structure of TbEu4S5.

Lattice parameters (Å, degrees): 4.0970 4.0970 28.9779 90.00 90.00 90.00
Closest atoms and distances in Å follow each position.
Space group I4/mmm (No. 139)
Symmetry-distinct sites (fractional):
Tb  0.0000  0.0000  0.0000 x2  6 S 2.79-2.90
Eu  0.0000  0.0000  0.1993 x4  6 S 2.90-2.98
Eu  0.0000  0.0000  0.4010 x4  6 S 2.87-2.91
S  0.0000  0.0000  0.0963 x4  1 Tb 2.79, 5 Eu 2.90-2.98
S  0.0000  0.0000  0.3005 x4  6 Eu 2.90-2.93
S  0.0000  0.0000  0.5000 x2  2 Eu 2.87, 4 Tb 2.90

total moment = 56.28 Bohr magnetons per cell
crystal system = tetragonal
formation energy without anion corrections = -2120 meV per atom
E = -8.756 eV/atom

=====

[3]
DFT (PBE) results for a relaxed structure of EuTcS2.

Lattice parameters (Å, degrees): 3.6210 3.6210 24.8278 90.00 90.00 120.00
Closest atoms and distances in Å follow each position.
Space group R-3m (No. 166, hexagonal axes)
Symmetry-distinct sites (fractional):
Eu  0.0000  0.0000  0.0000 x3  2 S 2.83
Tc  0.0000  0.0000  0.5000 x3  6 S 2.46
S  0.0000  0.0000  0.1141 x6  3 Tc 2.46

total moment = 28.86 Bohr magnetons per cell
crystal system = trigonal
formation energy without anion corrections = -420 meV per atom
E = -7.644 eV/atom

=====

[4]
DFT (PBE) results for a relaxed structure of EuTiS2.

Lattice parameters (Å, degrees): 3.7755 3.7755 18.8897 90.00 90.00 120.00
Closest atoms and distances in Å follow each position.
Space group R-3m (No. 166, hexagonal axes)
Symmetry-distinct sites (fractional):
Eu  0.0000  0.0000  0.0000 x3  6 S 2.83
Ti  0.0000  0.0000  0.5000 x3  6 S 2.56
S  0.0000  0.0000  0.2375 x6  3 Ti 2.56, 3 Eu 2.83

total moment = 18.46 Bohr magnetons per cell
crystal system = trigonal
formation energy without anion corrections = -1615 meV per atom
E = -8.221 eV/atom

=====

[5]
DFT (PBE) results for a relaxed structure of Eu3TlS.

Lattice parameters (Å, degrees): 5.5576 5.5576 5.5576 90.00 90.00 90.00
Closest atoms and distances in Å follow each position.
Space group Pm-3m (No. 221)
Symmetry-distinct sites (fractional):
Eu  0.0000  0.0000  0.5000 x3  2 S 2.78
Tl  0.5000  0.5000  0.5000 x1  12 Eu 3.93
S  0.0000  0.0000  0.0000 x1  6 Eu 2.78

total moment = 22.20 Bohr magnetons per cell
crystal system = cubic
formation energy without anion corrections = -891 meV per atom
E = -8.354 eV/atom

=====

[6]
DFT (PBE) results for a relaxed structure of EuTlS2.

Lattice parameters (Å, degrees): 3.6413 3.6413 7.3134 90.00 90.00 90.00
Closest atoms and distances in Å follow each position.
Space group P4/mmm (No. 123)
Symmetry-distinct sites (fractional):
Eu  0.0000  0.0000  0.0000 x1  8 S 3.00
Tl  0.0000  0.0000  0.5000 x1  8 S 3.33, 4 Tl 3.64, 2 Eu 3.66
S  0.5000  0.5000  0.2108 x2  4 Eu 3.00, 1 S 3.08, 4 Tl 3.33

total moment = 6.19 Bohr magnetons per cell
crystal system = tetragonal
formation energy without anion corrections = -1044 meV per atom
E = -6.268 eV/atom

=====

[7]
DFT (PBE) results for a relaxed structure of EuTlS2.

Lattice parameters (Å, degrees): 4.1889 4.1889 21.6631 90.00 90.00 120.00
Closest atoms and distances in Å follow each position.
Space group R-3m (No. 166, hexagonal axes)
Symmetry-distinct sites (fractional):
Eu  0.0000  0.0000  0.0000 x3  6 S 2.85
Tl  0.0000  0.0000  0.5000 x3  6 S 3.20
S  0.0000  0.0000  0.2634 x6  3 Eu 2.85

total moment = 18.54 Bohr magnetons per cell
crystal system = trigonal
'''

**Written answer:**
[1]
DFT (PBE) results for a relaxed structure of TbEuS2.

Lattice parameters (Å, degrees): 4.0035 4.0035 19.9174 90.00 90.00 120.00
Closest atoms and distances in Å follow each position.
Space group R-3m (No. 166, hexagonal axes)
Symmetry-distinct sites (fractional):
Tb  0.0000  0.0000  0.0000 x3  6 S 2.80
Eu  0.0000  0.0000  0.5000 x3  6 S 2.90
S  0.0000  0.0000  0.2543 x6  3 Tb 2.80, 3 Eu 2.90

total moment = 20.81 Bohr magnetons per cell
crystal system = trigonal
formation energy without anion corrections = -2091 meV per atom
E = -7.881 eV/atom

=====

[2]
DFT (PBE) results for a relaxed structure of TbEu4S5.

Lattice parameters (Å, degrees): 4.0970 4.0970 28.9779 90.00 90.00 90.00
Closest atoms and distances in Å follow each position.
Space group I4/mmm (No. 139)
Symmetry-distinct sites (fractional):
Tb  0.0000  0.0000  0.0000 x2  6 S 2.79-2.90
Eu  0.0000  0.0000  0.1993 x4  6 S 2.90-2.98
Eu  0.0000  0.0000  0.4010 x4  6 S 2.87-2.91
S  0.0000  0.0000  0.0963 x4  1 Tb 2.79, 5 Eu 2.90-2.98
S  0.0000  0.0000  0.3005 x4  6 Eu 2.90-2.93
S  0.0000  0.0000  0.5000 x2  2 Eu 2.87, 4 Tb 2.90

total moment = 56.28 Bohr magnetons per cell
crystal system = tetragonal
formation energy without anion corrections = -2120 meV per atom
E = -8.756 eV/atom

=====

[3]
DFT (PBE) results for a relaxed structure of EuTcS2.

Lattice parameters (Å, degrees): 3.6210 3.6210 24.8278 90.00 90.00 120.00
Closest atoms and distances in Å follow each position.
Space group R-3m (No. 166, hexagonal axes)
Symmetry-distinct sites (fractional):
Eu  0.0000  0.0000  0.0000 x3  2 S 2.83
Tc  0.0000  0.0000  0.5000 x3  6 S 2.46
S  0.0000  0.0000  0.1141 x6  3 Tc 2.46

total moment = 28.86 Bohr magnetons per cell
crystal system = trigonal
formation energy without anion corrections = -420 meV per atom
E = -7.644 eV/atom

=====

[4]
DFT (PBE) results for a relaxed structure of EuTiS2.

Lattice parameters (Å, degrees): 3.7755 3.7755 18.8897 90.00 90.00 120.00
Closest atoms and distances in Å follow each position.
Space group R-3m (No. 166, hexagonal axes)
Symmetry-distinct sites (fractional):
Eu  0.0000  0.0000  0.0000 x3  6 S 2.83
Ti  0.0000  0.0000  0.5000 x3  6 S 2.56
S  0.0000  0.0000  0.2375 x6  3 Ti 2.56, 3 Eu 2.83

total moment = 18.46 Bohr magnetons per cell
crystal system = trigonal
formation energy without anion corrections = -1615 meV per atom
E = -8.221 eV/atom

=====

[5]
DFT (PBE) results for a relaxed structure of Eu3TlS.

Lattice parameters (Å, degrees): 5.5576 5.5576 5.5576 90.00 90.00 90.00
Closest atoms and distances in Å follow each position.
Space group Pm-3m (No. 221)
Symmetry-distinct sites (fractional):
Eu  0.0000  0.0000  0.5000 x3  2 S 2.78
Tl  0.5000  0.5000  0.5000 x1  12 Eu 3.93
S  0.0000  0.0000  0.0000 x1  6 Eu 2.78

total moment = 22.20 Bohr magnetons per cell
crystal system = cubic
formation energy without anion corrections = -891 meV per atom
E = -8.354 eV/atom

=====

[6]
DFT (PBE) results for a relaxed structure of EuTlS2.

Lattice parameters (Å, degrees): 3.6413 3.6413 7.3134 90.00 90.00 90.00
Closest atoms and distances in Å follow each position.
Space group P4/mmm (No. 123)
Symmetry-distinct sites (fractional):
Eu  0.0000  0.0000  0.0000 x1  8 S 3.00
Tl  0.0000  0.0000  0.5000 x1  8 S 3.33, 4 Tl 3.64, 2 Eu 3.66
S  0.5000  0.5000  0.2108 x2  4 Eu 3.00, 1 S 3.08, 4 Tl 3.33

total moment = 6.19 Bohr magnetons per cell
crystal system = tetragonal
formation energy without anion corrections = -1044 meV per atom
E = -6.268 eV/atom

=====

[7]
DFT (PBE) results for a relaxed structure of EuTlS2.

Lattice parameters (Å, degrees): 4.1889 4.1889 21.6631 90.00 90.00 120.00
Closest atoms and distances in Å follow each position.
Space group R-3m (No. 166, hexagonal axes)
Symmetry-distinct sites (fractional):
Eu  0.0000  0.0000  0.0000 x3  6 S 2.85
Tl  0.0000  0.0000  0.5000 x3  6 S 3.20
S  0.0000  0.0000  0.2634 x6  3 Eu 2.85

total moment = 18.54 Bohr magnetons per cell
crystal system = trigonal